### Work order
Next, echo the whole of the calculation results further below verbatim.

### Entries
~~~
ORCA calculation (ωB97M-V/def2-TZVPD) on a gas-phase ion, C3H6NO2 (charge -1).

Summary:
Highest occupied orbital energy: -3.78 eV
Energy: -323.20294 hartree
ΔE to the lowest compared entry with this formula, charge and spin: 0.4170 eV
Molar mass: 88.1 g mol⁻¹
Net charge: -1

Last column: Löwdin charge in e.
CARTESIAN COORDINATES (ANGSTROEM)
O: 2.37164 0.49902 -0.29777  -0.08
C: 1.21907 0.35408 -0.74840  -0.75
O: 0.75729 0.67905 -1.86439  -0.08
C: 0.19090 -0.27789 0.18654  -0.41
C: -0.60766 0.78647 0.93175  -0.10
N: -0.73103 -1.20077 -0.49006  0.01
H: 0.65770 -0.80043 1.01987  0.12
H: 0.05291 1.46210 1.46409  0.07
H: -1.45798 0.29708 1.42264  0.06
H: -1.22840 1.38362 0.23463  0.07
H: -0.54189 -2.18857 -0.37209  0.04
H: -0.68254 -0.99376 -1.48681  0.05

Cartesian forces, eV/Å:
O 0.26 0.14 0.09
C 0.12 0.00 -0.09
O 0.02 0.03 -0.39
C -0.62 -0.59 1.06
C -1.50 0.38 -1.58
N -0.52 0.08 -0.49
H 0.57 -0.39 -0.27
H -0.21 -0.08 0.58
H 0.70 -0.03 1.01
H 0.77 0.12 -0.24
H 0.42 0.25 0.16
H 0.01 0.10 0.15

=====

ORCA calculation (ωB97M-V/def2-TZVPD) on 2 unconnected molecules or ions with the total composition C3H6NO2.

Summary:
Highest occupied orbital energy: -4.01 eV
Energy: -323.18014 hartree
ΔE to the lowest compared entry with this formula, charge and spin: 1.0372 eV
Molar mass: 88.1 g mol⁻¹
Net charge: -1

Last column: Löwdin charge in e.
CARTESIAN COORDINATES (ANGSTROEM)
C: 0.95347 1.91134 0.44276  -0.05
C: 0.60270 0.79474 1.06748  -0.31
N: 1.14976 0.25394 2.23534  0.01
H: 1.74661 2.53619 0.84158  0.02
H: 0.42792 2.17362 -0.46179  0.03
H: -0.18634 0.16018 0.66608  0.07
H: 2.13814 0.41814 2.36513  0.06
H: 0.94895 -0.73397 2.29905  0.07
O: -1.14742 -1.58967 -0.32476  -0.16
C: -0.98848 -1.19778 -1.50277  -0.70
O: -0.77766 -0.05712 -1.94998  -0.13
H: -1.04753 -2.02672 -2.27302  0.08

Cartesian forces, eV/Å:
C 0.15 0.04 0.36
C -0.37 -0.50 -0.27
N 0.19 -0.09 0.19
H 0.04 0.14 -0.16
H 0.07 0.08 -0.05
H -0.06 0.17 -0.14
H -0.05 0.12 0.00
H 0.03 0.06 0.02
O 0.04 0.09 0.20
C -0.04 -0.31 -0.17
O -0.02 0.10 0.05
H 0.02 0.10 -0.02

=====

ORCA calculation (ωB97M-V/def2-TZVPD) on a gas-phase ion, C3H6NO2 (charge +1).

Summary:
Highest occupied orbital energy: -15.10 eV
Energy: -322.67018 hartree
ΔE to the lowest compared entry with this formula, charge and spin: 5.6789 eV
Molar mass: 88.1 g mol⁻¹
Net charge: +1

Last column: Löwdin charge in e.
CARTESIAN COORDINATES (ANGSTROEM)
C: -1.34303 0.96962 1.14182  -0.21
C: -0.44570 1.76411 0.21185  0.18
C: 0.98015 -1.53471 -0.39156  -0.02
N: -0.59021 0.24218 0.35606  0.13
O: -2.43678 1.12795 1.72527  0.28
O: 0.09417 -1.02740 0.58574  -0.08
H: -0.81305 2.09793 -0.66786  0.09
H: 0.32657 2.22992 0.64230  0.09
H: 1.29193 -2.34729 0.13355  0.07
H: 1.82661 -0.75550 -0.35930  0.13
H: 0.41468 -1.52361 -1.38282  0.13
H: -2.69659 0.39877 2.35581  0.21

Cartesian forces, eV/Å:
C 1.79 -0.08 -4.72
C -2.03 -3.56 1.86
C -0.19 5.66 -2.49
N 0.48 -1.08 2.24
O -0.80 -0.86 2.53
~~~

### Here it is
ORCA calculation (ωB97M-V/def2-TZVPD) on a gas-phase ion, C3H6NO2 (charge -1).

Summary:
Highest occupied orbital energy: -3.78 eV
Energy: -323.20294 hartree
ΔE to the lowest compared entry with this formula, charge and spin: 0.4170 eV
Molar mass: 88.1 g mol⁻¹
Net charge: -1

Last column: Löwdin charge in e.
CARTESIAN COORDINATES (ANGSTROEM)
O: 2.37164 0.49902 -0.29777  -0.08
C: 1.21907 0.35408 -0.74840  -0.75
O: 0.75729 0.67905 -1.86439  -0.08
C: 0.19090 -0.27789 0.18654  -0.41
C: -0.60766 0.78647 0.93175  -0.10
N: -0.73103 -1.20077 -0.49006  0.01
H: 0.65770 -0.80043 1.01987  0.12
H: 0.05291 1.46210 1.46409  0.07
H: -1.45798 0.29708 1.42264  0.06
H: -1.22840 1.38362 0.23463  0.07
H: -0.54189 -2.18857 -0.37209  0.04
H: -0.68254 -0.99376 -1.48681  0.05

Cartesian forces, eV/Å:
O 0.26 0.14 0.09
C 0.12 0.00 -0.09
O 0.02 0.03 -0.39
C -0.62 -0.59 1.06
C -1.50 0.38 -1.58
N -0.52 0.08 -0.49
H 0.57 -0.39 -0.27
H -0.21 -0.08 0.58
H 0.70 -0.03 1.01
H 0.77 0.12 -0.24
H 0.42 0.25 0.16
H 0.01 0.10 0.15

=====

ORCA calculation (ωB97M-V/def2-TZVPD) on 2 unconnected molecules or ions with the total composition C3H6NO2.

Summary:
Highest occupied orbital energy: -4.01 eV
Energy: -323.18014 hartree
ΔE to the lowest compared entry with this formula, charge and spin: 1.0372 eV
Molar mass: 88.1 g mol⁻¹
Net charge: -1

Last column: Löwdin charge in e.
CARTESIAN COORDINATES (ANGSTROEM)
C: 0.95347 1.91134 0.44276  -0.05
C: 0.60270 0.79474 1.06748  -0.31
N: 1.14976 0.25394 2.23534  0.01
H: 1.74661 2.53619 0.84158  0.02
H: 0.42792 2.17362 -0.46179  0.03
H: -0.18634 0.16018 0.66608  0.07
H: 2.13814 0.41814 2.36513  0.06
H: 0.94895 -0.73397 2.29905  0.07
O: -1.14742 -1.58967 -0.32476  -0.16
C: -0.98848 -1.19778 -1.50277  -0.70
O: -0.77766 -0.05712 -1.94998  -0.13
H: -1.04753 -2.02672 -2.27302  0.08

Cartesian forces, eV/Å:
C 0.15 0.04 0.36
C -0.37 -0.50 -0.27
N 0.19 -0.09 0.19
H 0.04 0.14 -0.16
H 0.07 0.08 -0.05
H -0.06 0.17 -0.14
H -0.05 0.12 0.00
H 0.03 0.06 0.02
O 0.04 0.09 0.20
C -0.04 -0.31 -0.17
O -0.02 0.10 0.05
H 0.02 0.10 -0.02

=====

ORCA calculation (ωB97M-V/def2-TZVPD) on a gas-phase ion, C3H6NO2 (charge +1).

Summary:
Highest occupied orbital energy: -15.10 eV
Energy: -322.67018 hartree
ΔE to the lowest compared entry with this formula, charge and spin: 5.6789 eV
Molar mass: 88.1 g mol⁻¹
Net charge: +1

Last column: Löwdin charge in e.
CARTESIAN COORDINATES (ANGSTROEM)
C: -1.34303 0.96962 1.14182  -0.21
C: -0.44570 1.76411 0.21185  0.18
C: 0.98015 -1.53471 -0.39156  -0.02
N: -0.59021 0.24218 0.35606  0.13
O: -2.43678 1.12795 1.72527  0.28
O: 0.09417 -1.02740 0.58574  -0.08
H: -0.81305 2.09793 -0.66786  0.09
H: 0.32657 2.22992 0.64230  0.09
H: 1.29193 -2.34729 0.13355  0.07
H: 1.82661 -0.75550 -0.35930  0.13
H: 0.41468 -1.52361 -1.38282  0.13
H: -2.69659 0.39877 2.35581  0.21

Cartesian forces, eV/Å:
C 1.79 -0.08 -4.72
C -2.03 -3.56 1.86
C -0.19 5.66 -2.49
N 0.48 -1.08 2.24
O -0.80 -0.86 2.53